Contents >
┌──
1.
Compound: K4Cd2In3
Source: the Alexandria database
Functional: PBE
Structure: relaxed

Its spin magnetization is 0.00 μB/atom. The formation energy comes out at -0.0764 eV/atom. As for the density of states at the Fermi level: 0.54 states/eV/atom. The volume comes out at 703.1 Å³/cell.

Unit cell a=18.115 b=4.972 c=8.103 alpha=90.00 beta=105.58 gamma=90.00
Space group C2/m (No. 12)
Unique sites:
K 0.083 0.000 0.392
K 0.231 0.500 0.189
Cd 0.087 0.000 0.935
In 0.000 0.500 0.000
In 0.094 0.500 0.733

***

2.
Compound: KCdIn2
Source: the Alexandria database
Functional: PBE
Structure: relaxed

Its spin magnetization is 0.00 μB/atom. The formation energy comes out at -0.0404 eV/atom. As for the density of states at the Fermi level: 0.55 states/eV/atom. The volume comes out at 254.4 Å³/cell.

Unit cell a=9.515 b=3.395 c=7.933 alpha=90.00 beta=96.83 gamma=90.00
Space group C2/m (No. 12)
Unique sites:
K 0.000 0.000 0.000
Cd 0.000 0.500 0.500
In 0.243 0.000 0.686

***

3.
Compound: KCd2In
Source: the Alexandria database
Functional: PBE
Structure: relaxed

Its spin magnetization is 0.00 μB/atom. The formation energy comes out at 0.0828 eV/atom. As for the density of states at the Fermi level: 0.72 states/eV/atom. The volume comes out at 616.3 Å³/cell.

Unit cell a=5.501 b=5.501 c=20.362 alpha=90.00 beta=90.00 gamma=90.00
Space group I-42d (No. 122)
Unique sites:
K 0.000 0.000 0.000
Cd 0.095 0.250 0.625
In 0.000 0.000 0.500

***

4.
Compound: KCd4In12
Source: the Alexandria database
Functional: PBE
Structure: relaxed

Its spin magnetization is 0.00 μB/atom. The formation energy comes out at 0.0978 eV/atom. As for the density of states at the Fermi level: 0.59 states/eV/atom. The volume comes out at 1036.2 Å³/cell.

Unit cell a=10.119 b=10.119 c=10.119 alpha=90.00 beta=90.00 gamma=90.00
Space group Im-3 (No. 204)
Unique sites:
K 0.000 0.000 0.000
Cd 0.250 0.250 0.250
In 0.000 0.152 0.354

***

5.
Compound: KCd2In
Source: the Alexandria database
Functional: PBE
Structure: relaxed

Its spin magnetization is 0.00 μB/atom. The formation energy comes out at -0.0167 eV/atom. As for the density of states at the Fermi level: 0.48 states/eV/atom. The volume comes out at 123.2 Å³/cell.

Unit cell a=3.577 b=4.357 c=7.903 alpha=90.00 beta=90.00 gamma=90.00
Space group Pmmm (No. 47)
Unique sites:
K 0.000 0.000 0.000
Cd 0.500 0.500 0.299
In 0.000 0.000 0.500

***

6.
Compound: KCdIn2
Source: the Alexandria database
Functional: PBE
Structure: relaxed

Its spin magnetization is 0.00 μB/atom. The formation energy comes out at -0.0066 eV/atom. As for the density of states at the Fermi level: 0.61 states/eV/atom. The volume comes out at 230.0 Å³/cell.

Unit cell a=5.452 b=5.452 c=7.737 alpha=90.00 beta=90.00 gamma=90.00
Space group I-4m2 (No. 119)
Unique sites:
K 0.000 0.000 0.000
Cd 0.000 0.500 0.750
In 0.000 0.000 0.500
In 0.000 0.500 0.250

~~~~~

1.
NaPaC: optimized geometry, GGA-PBE.

Output
- energy of formation (eV/f.u.) = 0.1

Cell lengths 4.1508, 4.1508, 9.1752 Å; angles 90.00, 90.00, 90.00 degrees
Closest atoms and distances in Å follow each position.
Space group P4/nmm (No. 129, origin choice 2)
One atom of each set of equivalent atoms:
Na 0.2500 0.2500 0.1059  4 Na 3.52, 4 Pa 3.92
Pa 0.2500 0.2500 0.6106  4 C 2.31
C 0.2500 0.7500 0.5000  4 Pa 2.31

***

2.
CuBiF3: optimized geometry, GGA-PBE.

Output
- E_form (uncorrected) (eV/f.u.) = -6.4

Cell lengths 4.5912, 4.5912, 4.5912 Å; angles 90.00, 90.00, 90.00 degrees
Closest atoms and distances in Å follow each position.
Space group Pm-3m (No. 221)
One atom of each set of equivalent atoms:
Cu 0.0000 0.0000 0.0000  12 F 3.25
Bi 0.5000 0.5000 0.5000  6 F 2.30
F 0.0000 0.5000 0.5000  2 Bi 2.30

***

3.
AcY4Er5: optimized geometry, GGA-PBE.

Output
- energy of formation (eV/f.u.) = 2.2

Cell lengths 17.1702, 3.5821, 11.0880 Å; angles 90.00, 90.70, 90.00 degrees
Closest atoms and distances in Å follow each position.
Space group C2/m (No. 12)
One atom of each set of equivalent atoms:
└──

Exercise >
Please duplicate the whole of the block earlier on verbatim.

Worked solution >
1.
Compound: K4Cd2In3
Source: the Alexandria database
Functional: PBE
Structure: relaxed

Its spin magnetization is 0.00 μB/atom. The formation energy comes out at -0.0764 eV/atom. As for the density of states at the Fermi level: 0.54 states/eV/atom. The volume comes out at 703.1 Å³/cell.

Unit cell a=18.115 b=4.972 c=8.103 alpha=90.00 beta=105.58 gamma=90.00
Space group C2/m (No. 12)
Unique sites:
K 0.083 0.000 0.392
K 0.231 0.500 0.189
Cd 0.087 0.000 0.935
In 0.000 0.500 0.000
In 0.094 0.500 0.733

***

2.
Compound: KCdIn2
Source: the Alexandria database
Functional: PBE
Structure: relaxed

Its spin magnetization is 0.00 μB/atom. The formation energy comes out at -0.0404 eV/atom. As for the density of states at the Fermi level: 0.55 states/eV/atom. The volume comes out at 254.4 Å³/cell.

Unit cell a=9.515 b=3.395 c=7.933 alpha=90.00 beta=96.83 gamma=90.00
Space group C2/m (No. 12)
Unique sites:
K 0.000 0.000 0.000
Cd 0.000 0.500 0.500
In 0.243 0.000 0.686

***

3.
Compound: KCd2In
Source: the Alexandria database
Functional: PBE
Structure: relaxed

Its spin magnetization is 0.00 μB/atom. The formation energy comes out at 0.0828 eV/atom. As for the density of states at the Fermi level: 0.72 states/eV/atom. The volume comes out at 616.3 Å³/cell.

Unit cell a=5.501 b=5.501 c=20.362 alpha=90.00 beta=90.00 gamma=90.00
Space group I-42d (No. 122)
Unique sites:
K 0.000 0.000 0.000
Cd 0.095 0.250 0.625
In 0.000 0.000 0.500

***

4.
Compound: KCd4In12
Source: the Alexandria database
Functional: PBE
Structure: relaxed

Its spin magnetization is 0.00 μB/atom. The formation energy comes out at 0.0978 eV/atom. As for the density of states at the Fermi level: 0.59 states/eV/atom. The volume comes out at 1036.2 Å³/cell.

Unit cell a=10.119 b=10.119 c=10.119 alpha=90.00 beta=90.00 gamma=90.00
Space group Im-3 (No. 204)
Unique sites:
K 0.000 0.000 0.000
Cd 0.250 0.250 0.250
In 0.000 0.152 0.354

***

5.
Compound: KCd2In
Source: the Alexandria database
Functional: PBE
Structure: relaxed

Its spin magnetization is 0.00 μB/atom. The formation energy comes out at -0.0167 eV/atom. As for the density of states at the Fermi level: 0.48 states/eV/atom. The volume comes out at 123.2 Å³/cell.

Unit cell a=3.577 b=4.357 c=7.903 alpha=90.00 beta=90.00 gamma=90.00
Space group Pmmm (No. 47)
Unique sites:
K 0.000 0.000 0.000
Cd 0.500 0.500 0.299
In 0.000 0.000 0.500

***

6.
Compound: KCdIn2
Source: the Alexandria database
Functional: PBE
Structure: relaxed

Its spin magnetization is 0.00 μB/atom. The formation energy comes out at -0.0066 eV/atom. As for the density of states at the Fermi level: 0.61 states/eV/atom. The volume comes out at 230.0 Å³/cell.

Unit cell a=5.452 b=5.452 c=7.737 alpha=90.00 beta=90.00 gamma=90.00
Space group I-4m2 (No. 119)
Unique sites:
K 0.000 0.000 0.000
Cd 0.000 0.500 0.750
In 0.000 0.000 0.500
In 0.000 0.500 0.250

~~~~~

1.
NaPaC: optimized geometry, GGA-PBE.

Output
- energy of formation (eV/f.u.) = 0.1

Cell lengths 4.1508, 4.1508, 9.1752 Å; angles 90.00, 90.00, 90.00 degrees
Closest atoms and distances in Å follow each position.
Space group P4/nmm (No. 129, origin choice 2)
One atom of each set of equivalent atoms:
Na 0.2500 0.2500 0.1059  4 Na 3.52, 4 Pa 3.92
Pa 0.2500 0.2500 0.6106  4 C 2.31
C 0.2500 0.7500 0.5000  4 Pa 2.31

***

2.
CuBiF3: optimized geometry, GGA-PBE.

Output
- E_form (uncorrected) (eV/f.u.) = -6.4

Cell lengths 4.5912, 4.5912, 4.5912 Å; angles 90.00, 90.00, 90.00 degrees
Closest atoms and distances in Å follow each position.
Space group Pm-3m (No. 221)
One atom of each set of equivalent atoms:
Cu 0.0000 0.0000 0.0000  12 F 3.25
Bi 0.5000 0.5000 0.5000  6 F 2.30
F 0.0000 0.5000 0.5000  2 Bi 2.30

***

3.
AcY4Er5: optimized geometry, GGA-PBE.

Output
- energy of formation (eV/f.u.) = 2.2

Cell lengths 17.1702, 3.5821, 11.0880 Å; angles 90.00, 90.70, 90.00 degrees
Closest atoms and distances in Å follow each position.
Space group C2/m (No. 12)
One atom of each set of equivalent atoms: